Hello, !
The start of a new year always seems to have a lot of positive energy around it. The start of 2020 is also, arguably, the start of a new decade, which can especially bring to mind thoughts of looking back, looking ahead, noticing progress, and setting goals.
I don't know about you, but one of the ways my ADHD shows up is in the difficulty I have looking ahead or planning very far in advance. I don't have a good connection to the future and have a lot of trouble with long-term planning, especially business and financial planning.
The occasion of this new year and decade, however, has helped me focus on where I've been and where I want to be. One way I'm trying to take advantage of the moment is by giving thought
to the many things I am grateful for in my life in addition to the things I'd like to improve.
The Joy Audit
An article from the January 1, 2020, edition of "The Guardian," is one good place to start, or at least it has been for me. The article by Elle Hunt is called "The Joy Audit: How to have more fun in 2020." You can find it here.
We know that what we focus on or pay attention to expands, so why not focus on things that bring us joy? The article suggests several ways to bring more joy and happiness into our lives in 2020.
It is not a super short article, but I would like to suggest that you not avoid reading it just because involves some scrolling to reach the end. It's an easy read! You might start by just reading the parts that interest you. Look at the headings and pick the ones that you feel drawn to. If you find those helpful, you can always come back to the article later to read other hints that seem engaging at that time.
One idea the writer mentions is the Life Balance Wheel. If that intrigues you, let me know and I'll send you a couple of pages I give my clients. With them you'll be able to create your own Life Balance Wheel.
Materials data, kept here for reference.
-- begin --
1.
{
  "formula": "In3SnI5",
  "functional": "PBE",
  "state": "relaxed",
  "cell": [[9.0427, 0.0000, 0.0000], [0.0000, 9.1303, 0.0000], [-7.5078, 0.0000, 17.5174]],
  "species": ["In", "In", "In", "In", "In", "In", "In", "In", "In", "In", "In", "In", "Sn", "Sn", "Sn", "Sn", "I", "I", "I", "I", "I", "I", "I", "I", "I", "I", "I", "I", "I", "I", "I", "I", "I", "I", "I", "I"],
  "fractional_positions": [[0.0695, 0.2137, 0.0279], [0.0695, 0.2863, 0.5279], [0.1084, 0.6890, 0.7492], [0.1084, 0.8110, 0.2492], [0.3890, 0.5329, 0.2494], [0.3890, 0.9671, 0.7494], [0.6110, 0.0329, 0.2506], [0.6110, 0.4671, 0.7506], [0.8916, 0.1890, 0.7508], [0.8916, 0.3110, 0.2508], [0.9305, 0.7137, 0.4721], [0.9305, 0.7863, 0.9721], [0.3912, 0.1776, 0.4142], [0.3912, 0.3224, 0.9142], [0.6088, 0.6776, 0.0858], [0.6088, 0.8224, 0.5858], [0.0610, 0.0138, 0.3969], [0.0610, 0.4862, 0.8969], [0.2006, 0.0302, 0.8945], [0.2006, 0.4698, 0.3945], [0.2398, 0.1672, 0.2387], [0.2398, 0.3328, 0.7387], [0.3179, 0.6683, 0.6132], [0.3179, 0.8317, 0.1132], [0.4662, 0.1488, 0.6045], [0.4662, 0.3512, 0.1045], [0.5338, 0.6488, 0.8955], [0.5338, 0.8512, 0.3955], [0.6821, 0.1683, 0.8868], [0.6821, 0.3317, 0.3868], [0.7602, 0.6672, 0.2613], [0.7602, 0.8328, 0.7613], [0.7994, 0.5302, 0.6055], [0.7994, 0.9698, 0.1055], [0.9390, 0.5138, 0.1031], [0.9390, 0.9862, 0.6031]],
  "ef_ev_per_atom": -0.688,
  "corrected_energy_ev_per_cell": -104.30,
  "e_above_lowest_polymorph_mev_per_atom": 0
}

2.
{
  "formula": "Zr2CrCo3",
  "functional": "PBE",
  "state": "relaxed",
  "cell": [[2.5179, 1.4537, 3.8745], [-2.5179, 1.4537, 3.8745], [0.0000, -2.9074, 3.8745]],
  "species": ["Zr", "Zr", "Cr", "Co", "Co", "Co"],
  "fractional_positions": [[0.1266, 0.1266, 0.1266], [0.8734, 0.8734, 0.8734], [0.5000, 0.5000, 0.5000], [0.0000, 0.5000, 0.5000], [0.5000, 0.0000, 0.5000], [0.5000, 0.5000, 0.0000]],
  "ef_ev_per_atom": -0.245
}

no.,final energy (eV per atom)
1,-2.687
2,-8.257
-- stop --
If you or anyone you know would like to start 2020 with a plan for improving health and losing pounds, please let me know. A new Fast Forward to Success (FFS) Intermittent Fasting (IF) Group Coaching Program will soon be underway and I'd love to talk with anyone who is interested in this ADHD-friendly way
to manage eating.
If you would like to start the first 100 days of this year with a Positive ADHD Thought (PAT), visit freetobecoaching.com and sign up. You will receive an email every weekday at around 7 AM your time with a short, positive thought. There is no cost, no obligation.
To keep them coming after 100 days, just sign up again! If you are like me, the PATs will appear new to you the second time around if you resubscribe.
You are welcome to share this idea with friends who might be interested in signing up. Everyone is welcome!
1.
TiH after structural relaxation. Source: Materials Project, functional r2SCAN.

POSCAR file:
```
TiH
1.0
4.168 0.000 0.000
0.000 4.168 0.000
0.000 0.000 4.568
Ti H
4 4
Direct
0.250 0.250 0.250 Ti
0.250 0.750 0.750 Ti
0.750 0.750 0.250 Ti
0.750 0.250 0.750 Ti
0.500 0.500 0.000 H
0.000 0.000 0.500 H
0.500 0.500 0.500 H
0.000 0.000 0.000 H
```

=====

2.
KSb2F7, optimized geometry, DFT r2SCAN; SG = P2_1/c
1.0
10.429 0.000 0.000
0.000 7.558 0.000
-1.686 0.000 8.270
K Sb F
4 8 28
Direct
0.070 0.165 0.330 K
0.070 0.335 0.830 K
0.930 0.665 0.170 K
0.930 0.835 0.670 K
0.250 0.687 0.487 Sb
0.250 0.813 0.987 Sb
0.401 0.179 0.661 Sb
0.401 0.321 0.161 Sb
0.599 0.679 0.839 Sb
0.599 0.821 0.339 Sb
0.750 0.187 0.013 Sb
0.750 0.313 0.513 Sb
0.093 0.660 0.959 F
0.093 0.840 0.459 F
0.125 0.511 0.378 F
0.125 0.989 0.878 F
0.197 0.619 0.688 F
0.197 0.881 0.188 F
0.214 0.212 0.636 F
0.214 0.288 0.136 F
0.345 0.580 0.189 F
0.345 0.920 0.689 F
0.375 0.108 0.433 F
0.375 0.392 0.933 F
0.381 0.071 0.055 F
0.381 0.429 0.555 F
0.619 0.571 0.445 F
0.619 0.929 0.945 F
0.625 0.608 0.067 F
0.625 0.892 0.567 F
0.655 0.080 0.311 F
0.655 0.420 0.811 F
0.786 0.712 0.864 F
0.786 0.788 0.364 F
0.803 0.119 0.812 F
0.803 0.381 0.312 F
0.875 0.011 0.122 F
0.875 0.489 0.622 F
0.907 0.160 0.541 F
0.907 0.340 0.041 F

=====

3.
GaNi2Pt, optimized geometry, DFT r2SCAN; SG = P4/mmm
1.0
3.662 0.000 0.000
0.000 3.662 0.000
0.000 0.000 3.729
Ga Ni Pt
1 2 1
Direct
0.000 0.000 0.000 Ga
0.000 0.500 0.500 Ni
0.500 0.000 0.500 Ni
0.500 0.500 0.000 Pt

=====

4.
Zn3CdS4, optimized geometry, DFT r2SCAN; SG = P-43m
1.0
5.511 0.000 0.000
0.000 5.511 0.000
0.000 0.000 5.511
Zn Cd S
3 1 4
Direct
0.000 0.000 0.500 Zn
0.000 0.500 0.000 Zn
0.500 0.000 0.000 Zn
0.500 0.500 0.500 Cd
0.237 0.237 0.763 S
0.237 0.763 0.237 S
0.763 0.237 0.237 S
0.763 0.763 0.763 S

=====

5.
Pr2AlGe6, optimized geometry, DFT r2SCAN; SG = C2/m
1.0
4.165 -4.398 0.000
4.165 4.398 0.000
-2.165 0.000 10.553
Pr Al Ge
4 2 12
Direct
0.161 0.666 0.664 Pr
0.334 0.839 0.336 Pr
0.666 0.161 0.664 Pr
0.839 0.334 0.336 Pr
0.200 0.200 0.805 Al
0.800 0.800 0.195 Al
0.068 0.492 0.113 Ge
0.070 0.070 0.113 Ge
0.146 0.146 0.564 Ge
0.362 0.362 0.419 Ge
0.489 0.489 0.113 Ge
0.492 0.068 0.113 Ge
0.508 0.932 0.887 Ge
0.511 0.511 0.887 Ge
0.638 0.638 0.581 Ge
0.854 0.854 0.436 Ge
0.930 0.930 0.887 Ge
0.932 0.508 0.887 Ge

=====

6.
YPb2, optimized geometry, DFT r2SCAN; SG = Cmcm
1.0
2.270 -8.406 0.000
2.270 8.406 0.000
0.000 0.000 4.484
Y Pb
2 4
Direct
0.097 0.903 0.750 Y
0.903 0.097 0.250 Y
0.252 0.748 0.250 Pb
0.434 0.566 0.750 Pb
0.566 0.434 0.250 Pb
0.748 0.252 0.750 Pb

=====

7.
CeAs2Pd3, optimized geometry, DFT r2SCAN; SG = C2/m
1.0
8.387 -2.067 0.000
8.387 2.067 0.000
-3.099 0.000 9.541
Ce As Pd
3 6 9
Direct
0.000 0.000 0.000 Ce
0.156 0.156 0.703 Ce
0.844 0.844 0.297 Ce
0.199 0.199 0.128 As
0.364 0.364 0.545 As
0.463 0.463 0.216 As
0.537 0.537 0.784 As
0.636 0.636 0.455 As
0.801 0.801 0.872 As
0.045 0.045 0.333 Pd
0.221 0.221 0.392 Pd
(The article goes on)
Best wishes for a happy, healthy, and peaceful 2020!
Linda Swanson, MA, PCC, PCAC